**Request**
What is needed: transcribe the lines further down from the one with "0.264 0.237" to the one with "0.336 0.711" with every line break kept.
**Excerpt**
/*
[1]
The following is a calculated X-ray diffraction stick pattern of PrDy3Er3. It was derived from a crystal structure in Alexandria, relaxed with GGA-PBE, using a wavelength of 1.5418 Å.

The 6 most intense peaks (10 to 80 degrees two-theta), by angle:
- 29.83°, intensity 25
- 30.33°, intensity 93
- 31.51°, intensity 100
- 32.91°, intensity 26
- 35.51°, intensity 75
- 46.20°, intensity 27

```
PrDy3Er3
1.0
4.918 2.839 2.721
-4.918 2.839 2.721
0.000 -5.679 2.721
Pr Dy Er
1 3 3
Direct
0.000 0.000 0.000 Pr
0.059 0.414 0.414 Dy
0.414 0.059 0.414 Dy
0.414 0.414 0.059 Dy
0.454 0.856 0.856 Er
0.856 0.454 0.856 Er
0.856 0.856 0.454 Er
```

***

[2]
The following is a calculated X-ray diffraction stick pattern of Na2Cu2BiTe4. It was derived from a crystal structure in Alexandria, relaxed with GGA-PBE, using a wavelength of 1.5418 Å.

The 6 most intense peaks (10 to 80 degrees two-theta), by angle:
- 12.03°, intensity 86
- 23.95°, intensity 100
- 30.96°, intensity 44
- 31.56°, intensity 49
- 42.35°, intensity 38
- 44.59°, intensity 52

```
Na2Cu2BiTe4
1.0
8.238 -2.089 0.000
8.238 2.089 0.000
-3.532 0.000 7.356
Na Cu Bi Te
2 2 1 4
Direct
0.129 0.129 0.053 Na
0.871 0.871 0.947 Na
0.299 0.299 0.501 Cu
0.701 0.701 0.499 Cu
0.000 0.000 0.500 Bi
0.211 0.211 0.707 Te
0.478 0.478 0.761 Te
0.522 0.522 0.239 Te
0.789 0.789 0.293 Te
```

***

[3]
The following is a calculated X-ray diffraction stick pattern of Hf3Zr4Sc16. It was derived from a crystal structure in Alexandria, relaxed with GGA-PBE, using a wavelength of 1.5418 Å.

The 6 most intense peaks (10 to 80 degrees two-theta), by angle:
- 17.86°, intensity 67
- 18.79°, intensity 60
- 33.30°, intensity 100
- 34.02°, intensity 67
- 36.02°, intensity 71
- 36.18°, intensity 82

```
Hf3Zr4Sc16
1.0
6.421 0.000 0.000
0.000 9.933 0.000
-0.685 0.000 8.740
Hf Zr Sc
3 4 16
Direct
0.000 0.000 0.000 Hf
0.000 0.500 0.500 Hf
0.500 0.000 0.500 Hf
0.100 0.500 0.844 Zr
0.440 0.000 0.162 Zr
0.560 0.000 0.838 Zr
0.900 0.500 0.156 Zr
0.114 0.000 0.663 Sc
0.157 0.237 0.291 Sc
0.157 0.763 0.291 Sc
0.264 0.237 0.953 Sc
0.264 0.763 0.953 Sc
0.336 0.289 0.624 Sc
0.336 0.711 0.624 Sc
0.399 0.500 0.167 Sc
0.601 0.500 0.833 Sc
0.664 0.289 0.376 Sc
0.664 0.711 0.376 Sc
0.736 0.237 0.047 Sc
0.736 0.763 0.047 Sc
0.843 0.237 0.709 Sc
0.843 0.763 0.709 Sc
0.886 0.000 0.337 Sc
```

***

[4]
The following is a calculated X-ray diffraction stick pattern of Pm6PtSe3S2. It was derived from a crystal structure in Alexandria, relaxed with GGA-PBE, using a wavelength of 1.5418 Å.

The 6 most intense peaks (10 to 80 degrees two-theta), by angle:
- 30.28°, intensity 51
- 30.51°, intensity 100
- 42.95°, intensity 20
- 43.40°, intensity 37
- 43.65°, intensity 38
- 54.71°, intensity 19

```
Pm6PtSe3S2
1.0
9.117 -2.039 0.000
9.117 2.039 0.000
-2.008 0.000 8.179
Pm Pt Se S
6 1 3 2
Direct
0.003 0.003 0.240 Pm
0.330 0.330 0.428 Pm
0.333 0.333 0.905 Pm
0.667 0.667 0.095 Pm
0.670 0.670 0.572 Pm
0.997 0.997 0.760 Pm
0.500 0.500 0.000 Pt
0.167 0.167 0.831 Se
0.500 0.500 0.500 Se
0.833 0.833 0.169 Se
0.168 0.168 0.334 S
0.832 0.832 0.666 S
```

***

[5]
The following is a calculated X-ray diffraction stick pattern of Nd8SiNi2. It was derived from a crystal structure in Alexandria, relaxed with GGA-PBE, using a wavelength of 1.5418 Å.

The 6 most intense peaks (10 to 80 degrees two-theta), by angle:
- 28.87°, intensity 79
- 29.87°, intensity 100
- 31.07°, intensity 67
- 31.39°, intensity 71
- 33.11°, intensity 65
- 35.91°, intensity 57

```
Nd8SiNi2
1.0
4.174 -6.474 0.000
4.174 6.474 0.000
-2.137 0.000 6.009
Nd Si Ni
8 1 2
Direct
0.000 0.000 0.000 Nd
0.001 0.269 0.561 Nd
0.139 0.560 0.170 Nd
0.269 0.001 0.561 Nd
0.434 0.699 0.777 Nd
0.560 0.139 0.170 Nd
0.699 0.434 0.777 Nd
0.718 0.718 0.372 Nd
0.357 0.357 0.379 Si
0.045 0.664 0.689 Ni
0.664 0.045 0.689 Ni
```

***

[6]
*/
**Worked solution**
0.264 0.237 0.953 Sc
0.264 0.763 0.953 Sc
0.336 0.289 0.624 Sc
0.336 0.711 0.624 Sc